No. 1
Computed, not measured: crystalline Ac5Tl2Sn2 at its relaxed geometry at the PBE level of DFT.

symmetry = No. 64
energy above the lowest structure with this stoichiometry = 0 meV/atom
DFT total energy = -75.7 eV for the cell shown
energy of formation = -0.51 eV per atom

a = 9.7579 Å, b = 9.7579 Å, c = 8.8661 Å
α = 90.00°, β = 90.00°, γ = 54.00°
Last column: nearest neighbours and their distance in Å.
Fractional coordinates of all 18 atoms:
1 Ac 0.0000 0.0000 0.0000  4 Tl 3.50-3.51, 2 Sn 3.53
2 Ac 0.0301 0.6836 0.6690  3 Sn 3.42-3.47, 3 Tl 3.58-3.64
3 Ac 0.1836 0.5301 0.1690  3 Sn 3.42-3.47, 3 Tl 3.58-3.64
4 Ac 0.3164 0.9699 0.6690  3 Sn 3.42-3.47, 3 Tl 3.58-3.64
5 Ac 0.4699 0.8164 0.1690  3 Sn 3.42-3.47, 3 Tl 3.58-3.64
6 Ac 0.5000 0.5000 0.5000  4 Tl 3.50-3.51, 2 Sn 3.53
7 Ac 0.5301 0.1836 0.8310  3 Sn 3.42-3.47, 3 Tl 3.58-3.64
8 Ac 0.6836 0.0301 0.3310  3 Sn 3.42-3.47, 3 Tl 3.58-3.64
9 Ac 0.8164 0.4699 0.8310  3 Sn 3.42-3.47, 3 Tl 3.58-3.64
10 Ac 0.9699 0.3164 0.3310  3 Sn 3.42-3.47, 3 Tl 3.58-3.64
11 Tl 0.1234 0.8766 0.3755  1 Tl 3.11
12 Tl 0.3766 0.6234 0.8755  1 Tl 3.11
13 Tl 0.6234 0.3766 0.1245  1 Tl 3.11
14 Tl 0.8766 0.1234 0.6245  1 Tl 3.11
15 Sn 0.2029 0.2029 0.0000  7 Ac 3.42-3.53
16 Sn 0.2971 0.2971 0.5000  7 Ac 3.42-3.53
17 Sn 0.7029 0.7029 0.5000  7 Ac 3.42-3.53
18 Sn 0.7971 0.7971 0.0000  7 Ac 3.42-3.53

No. 2
Computed, not measured: crystalline Mo2RuRh at its relaxed geometry at the PBE level of DFT.

symmetry = No. 139
energy above the lowest structure with this stoichiometry = 0 meV/atom
DFT total energy = -38.6 eV for the cell shown
energy of formation = -0.08 eV per atom

a = 4.7533 Å, b = 4.7533 Å, c = 4.7533 Å
α = 131.23°, β = 131.23°, γ = 71.45°
Last column: nearest neighbours and their distance in Å.
Fractional coordinates of all 4 atoms:
1 Mo 0.2500 0.7500 0.5000  4 Ru 2.75, 4 Rh 2.75, 4 Mo 2.78
2 Mo 0.7500 0.2500 0.5000  4 Ru 2.75, 4 Rh 2.75, 4 Mo 2.78
3 Ru 0.0000 0.0000 0.0000  8 Mo 2.75, 4 Rh 2.78
4 Rh 0.5000 0.5000 0.0000  8 Mo 2.75, 4 Ru 2.78

No. 3
Computed, not measured: crystalline Sr4ErRu3O12 at its relaxed geometry at the PBE level of DFT.

symmetry = No. 229
ΔE_f (raw) = -2054 meV per atom
DFT total energy = -139.7 eV for the cell shown

a = 7.0417 Å, b = 7.0417 Å, c = 7.0417 Å
α = 109.47°, β = 109.47°, γ = 109.47°
Last column: nearest neighbours and their distance in Å.
Fractional coordinates of all 20 atoms:
1 Sr 0.0000 0.0000 0.5000  12 O 2.87-2.88
2 Sr 0.0000 0.5000 0.0000  12 O 2.87-2.88
3 Sr 0.5000 0.0000 0.0000  12 O 2.87-2.88
4 Sr 0.5000 0.5000 0.5000  12 O 2.87-2.88
5 Er 0.0000 0.0000 0.0000  6 O 2.13
6 Ru 0.0000 0.5000 0.5000  6 O 1.93-2.03
7 Ru 0.5000 0.0000 0.5000  6 O 1.93-2.03
8 Ru 0.5000 0.5000 0.0000  6 O 1.93-2.03
9 O 0.0000 0.2622 0.2622  1 Ru 1.93, 1 Er 2.13
10 O 0.0000 0.7378 0.7378  1 Ru 1.93, 1 Er 2.13
11 O 0.2500 0.5000 0.7500  2 Ru 2.03
12 O 0.2500 0.7500 0.5000  2 Ru 2.03
13 O 0.2622 0.0000 0.2622  1 Ru 1.93, 1 Er 2.13
14 O 0.2622 0.2622 0.0000  1 Ru 1.93, 1 Er 2.13
15 O 0.5000 0.2500 0.7500  2 Ru 2.03
16 O 0.5000 0.7500 0.2500  2 Ru 2.03
17 O 0.7378 0.0000 0.7378  1 Ru 1.93, 1 Er 2.13
18 O 0.7378 0.7378 0.0000  1 Ru 1.93, 1 Er 2.13
19 O 0.7500 0.2500 0.5000  2 Ru 2.03
20 O 0.7500 0.5000 0.2500  2 Ru 2.03

No. 4
Computed, not measured: crystalline Pr2Ga3Ni4Ge at its relaxed geometry at the PBE level of DFT.

symmetry = No. 115
DFT total energy = -52.1 eV for the cell shown
energy of formation = -0.57 eV per atom

a = 4.2264 Å, b = 4.2264 Å, c = 9.6832 Å
α = 90.00°, β = 90.00°, γ = 90.00°
Last column: nearest neighbours and their distance in Å.
Fractional coordinates of all 10 atoms:
1 Pr 0.0000 0.5000 0.2482  8 Ni 3.20-3.23, 6 Ga 3.22-3.23, 2 Ge 3.23
2 Pr 0.5000 0.0000 0.7518  8 Ni 3.20-3.23, 6 Ga 3.22-3.23, 2 Ge 3.23
3 Ga 0.0000 0.5000 0.8768  5 Ni 2.43
4 Ga 0.5000 0.0000 0.1232  5 Ni 2.43
5 Ga 0.5000 0.5000 0.5000  4 Ni 2.44
6 Ni 0.0000 0.0000 0.0000  4 Ga 2.43
7 Ni 0.0000 0.5000 0.6258  3 Ga 2.43-2.44, 2 Ge 2.44
Repeat the data further up without altering anything.
No. 1
Computed, not measured: crystalline Ac5Tl2Sn2 at its relaxed geometry at the PBE level of DFT.

symmetry = No. 64
energy above the lowest structure with this stoichiometry = 0 meV/atom
DFT total energy = -75.7 eV for the cell shown
energy of formation = -0.51 eV per atom

a = 9.7579 Å, b = 9.7579 Å, c = 8.8661 Å
α = 90.00°, β = 90.00°, γ = 54.00°
Last column: nearest neighbours and their distance in Å.
Fractional coordinates of all 18 atoms:
1 Ac 0.0000 0.0000 0.0000  4 Tl 3.50-3.51, 2 Sn 3.53
2 Ac 0.0301 0.6836 0.6690  3 Sn 3.42-3.47, 3 Tl 3.58-3.64
3 Ac 0.1836 0.5301 0.1690  3 Sn 3.42-3.47, 3 Tl 3.58-3.64
4 Ac 0.3164 0.9699 0.6690  3 Sn 3.42-3.47, 3 Tl 3.58-3.64
5 Ac 0.4699 0.8164 0.1690  3 Sn 3.42-3.47, 3 Tl 3.58-3.64
6 Ac 0.5000 0.5000 0.5000  4 Tl 3.50-3.51, 2 Sn 3.53
7 Ac 0.5301 0.1836 0.8310  3 Sn 3.42-3.47, 3 Tl 3.58-3.64
8 Ac 0.6836 0.0301 0.3310  3 Sn 3.42-3.47, 3 Tl 3.58-3.64
9 Ac 0.8164 0.4699 0.8310  3 Sn 3.42-3.47, 3 Tl 3.58-3.64
10 Ac 0.9699 0.3164 0.3310  3 Sn 3.42-3.47, 3 Tl 3.58-3.64
11 Tl 0.1234 0.8766 0.3755  1 Tl 3.11
12 Tl 0.3766 0.6234 0.8755  1 Tl 3.11
13 Tl 0.6234 0.3766 0.1245  1 Tl 3.11
14 Tl 0.8766 0.1234 0.6245  1 Tl 3.11
15 Sn 0.2029 0.2029 0.0000  7 Ac 3.42-3.53
16 Sn 0.2971 0.2971 0.5000  7 Ac 3.42-3.53
17 Sn 0.7029 0.7029 0.5000  7 Ac 3.42-3.53
18 Sn 0.7971 0.7971 0.0000  7 Ac 3.42-3.53

No. 2
Computed, not measured: crystalline Mo2RuRh at its relaxed geometry at the PBE level of DFT.

symmetry = No. 139
energy above the lowest structure with this stoichiometry = 0 meV/atom
DFT total energy = -38.6 eV for the cell shown
energy of formation = -0.08 eV per atom

a = 4.7533 Å, b = 4.7533 Å, c = 4.7533 Å
α = 131.23°, β = 131.23°, γ = 71.45°
Last column: nearest neighbours and their distance in Å.
Fractional coordinates of all 4 atoms:
1 Mo 0.2500 0.7500 0.5000  4 Ru 2.75, 4 Rh 2.75, 4 Mo 2.78
2 Mo 0.7500 0.2500 0.5000  4 Ru 2.75, 4 Rh 2.75, 4 Mo 2.78
3 Ru 0.0000 0.0000 0.0000  8 Mo 2.75, 4 Rh 2.78
4 Rh 0.5000 0.5000 0.0000  8 Mo 2.75, 4 Ru 2.78

No. 3
Computed, not measured: crystalline Sr4ErRu3O12 at its relaxed geometry at the PBE level of DFT.

symmetry = No. 229
ΔE_f (raw) = -2054 meV per atom
DFT total energy = -139.7 eV for the cell shown

a = 7.0417 Å, b = 7.0417 Å, c = 7.0417 Å
α = 109.47°, β = 109.47°, γ = 109.47°
Last column: nearest neighbours and their distance in Å.
Fractional coordinates of all 20 atoms:
1 Sr 0.0000 0.0000 0.5000  12 O 2.87-2.88
2 Sr 0.0000 0.5000 0.0000  12 O 2.87-2.88
3 Sr 0.5000 0.0000 0.0000  12 O 2.87-2.88
4 Sr 0.5000 0.5000 0.5000  12 O 2.87-2.88
5 Er 0.0000 0.0000 0.0000  6 O 2.13
6 Ru 0.0000 0.5000 0.5000  6 O 1.93-2.03
7 Ru 0.5000 0.0000 0.5000  6 O 1.93-2.03
8 Ru 0.5000 0.5000 0.0000  6 O 1.93-2.03
9 O 0.0000 0.2622 0.2622  1 Ru 1.93, 1 Er 2.13
10 O 0.0000 0.7378 0.7378  1 Ru 1.93, 1 Er 2.13
11 O 0.2500 0.5000 0.7500  2 Ru 2.03
12 O 0.2500 0.7500 0.5000  2 Ru 2.03
13 O 0.2622 0.0000 0.2622  1 Ru 1.93, 1 Er 2.13
14 O 0.2622 0.2622 0.0000  1 Ru 1.93, 1 Er 2.13
15 O 0.5000 0.2500 0.7500  2 Ru 2.03
16 O 0.5000 0.7500 0.2500  2 Ru 2.03
17 O 0.7378 0.0000 0.7378  1 Ru 1.93, 1 Er 2.13
18 O 0.7378 0.7378 0.0000  1 Ru 1.93, 1 Er 2.13
19 O 0.7500 0.2500 0.5000  2 Ru 2.03
20 O 0.7500 0.5000 0.2500  2 Ru 2.03

No. 4
Computed, not measured: crystalline Pr2Ga3Ni4Ge at its relaxed geometry at the PBE level of DFT.

symmetry = No. 115
DFT total energy = -52.1 eV for the cell shown
energy of formation = -0.57 eV per atom

a = 4.2264 Å, b = 4.2264 Å, c = 9.6832 Å
α = 90.00°, β = 90.00°, γ = 90.00°
Last column: nearest neighbours and their distance in Å.
Fractional coordinates of all 10 atoms:
1 Pr 0.0000 0.5000 0.2482  8 Ni 3.20-3.23, 6 Ga 3.22-3.23, 2 Ge 3.23
2 Pr 0.5000 0.0000 0.7518  8 Ni 3.20-3.23, 6 Ga 3.22-3.23, 2 Ge 3.23
3 Ga 0.0000 0.5000 0.8768  5 Ni 2.43
4 Ga 0.5000 0.0000 0.1232  5 Ni 2.43
5 Ga 0.5000 0.5000 0.5000  4 Ni 2.44
6 Ni 0.0000 0.0000 0.0000  4 Ga 2.43
7 Ni 0.0000 0.5000 0.6258  3 Ga 2.43-2.44, 2 Ge 2.44